• Input:
'''
Sr2Co2O5 | Alexandria via LeMat-Bulk | PBE with a Hubbard U | optimized geometry; V = 13.09 Å³ per atom; energy above the lowest structure with this stoichiometry = 44 meV per atom; N(E_F) = 0.73 states/eV/f.u.; space group = P4/mmm; electronic total energy = -54.38 eV/cell
1.0
-0.386 4.820 2.954
-5.193 0.868 -2.094
-1.446 -1.845 2.822
Sr Co O
2 2 5
direct
0.000 0.500 0.000
0.500 0.000 0.000
0.000 0.000 0.500
0.500 0.500 0.500
0.267 0.733 0.500
0.733 0.267 0.500
0.000 0.000 0.000
0.733 0.733 0.500
0.267 0.267 0.500

~~~~~

(w)
A relaxed structure of NbB2W, computed with GGA-PBE.

symmetry: Amm2, No. 38
size of the total moment: 0.000 μB per atom

a b c (Å): 4.6057 4.6057 3.1414
angles (deg): 90.00 90.00 138.63
Positions (direct):
1 W 0.8566 0.1434 0.0000
2 B 0.4388 0.5612 0.5000
3 B 0.5582 0.4418 0.0000
4 Nb 0.1464 0.8536 0.5000

***

(x)
A relaxed structure of NbB2W, computed with GGA-PBE.

symmetry: I-42d, No. 122
size of the total moment: 0.000 μB per atom

a b c (Å): 4.9213 4.9213 6.0638
angles (deg): 66.06 66.06 90.00
Positions (direct):
1 B 0.8750 0.8917 0.7500
2 B 0.6417 0.1250 0.2500
3 B 0.1083 0.6250 0.2500
4 B 0.3750 0.3583 0.7500
5 Nb 0.5000 0.5000 0.0000
6 Nb 0.2500 0.7500 0.5000
7 W 0.7500 0.2500 0.5000
8 W 0.0000 0.0000 0.0000

***

(y)
A relaxed structure of NbB2W, computed with GGA-PBE.

symmetry: R-3m, No. 166
size of the total moment: 0.000 μB per atom

a b c (Å): 3.2091 3.2091 5.5741
angles (deg): 73.27 73.27 60.00
Positions (direct):
1 W 0.0000 0.0000 0.0000
2 B 0.7471 0.7471 0.7588
3 B 0.2529 0.2529 0.2412
4 Nb 0.5000 0.5000 0.5000

***

(z)
A relaxed structure of NbB2W, computed with GGA-PBE.

symmetry: Pmc2_1, No. 26
size of the total moment: 0.000 μB per atom

a b c (Å): 3.1382 4.6433 6.0591
angles (deg): 90.00 90.00 90.00
Positions (direct):
1 W 0.0000 0.8699 0.1769
2 W 0.0000 0.1301 0.6769
3 B 0.0000 0.3423 0.0317
4 B 0.5000 0.1430 0.9657
5 B 0.0000 0.6577 0.5317
6 B 0.5000 0.8570 0.4657
7 Nb 0.5000 0.3715 0.3258
8 Nb 0.5000 0.6285 0.8258

***

Q: Which of them is the least stable? A: (x).

***

(w)
A relaxed structure of NbZnB3, computed with GGA-PBE.

symmetry: Pm-3m, No. 221
size of the total moment: 0.000 μB per atom

a b c (Å): 3.8881 3.8881 3.8881
angles (deg): 90.00 90.00 90.00
Positions (direct):
1 B 0.5000 0.0000 0.0000
2 B 0.0000 0.5000 0.0000
3 B 0.0000 0.0000 0.5000
4 Zn 0.0000 0.0000 0.0000
5 Nb 0.5000 0.5000 0.5000

***

(x)
A relaxed structure of NbZnB3, computed with GGA-PBE.

symmetry: Pm-3m, No. 221
size of the total moment: 0.000 μB per atom

a b c (Å): 4.2667 4.2667 4.2667
angles (deg): 90.00 90.00 90.00
Positions (direct):
1 Nb 0.0000 0.0000 0.0000
2 B 0.5000 0.0000 0.0000
3 B 0.0000 0.5000 0.0000
4 B 0.0000 0.0000 0.5000
5 Zn 0.5000 0.5000 0.5000

***

Q: Which of them is the least stable? A: (w).

***

(w)
A relaxed structure of ZrNbB, computed with GGA-PBE.

symmetry: C2/m, No. 12
size of the total moment: 0.000 μB per atom

a b c (Å): 7.5633 3.2620 9.1405
angles (deg): 90.00 123.78 90.00
Positions (direct):
1 B 0.8928 0.0000 0.0149
2 B 0.8928 0.5000 0.5149
3 B 0.1072 0.0000 0.9851
4 B 0.1072 0.5000 0.4851
5 Nb 0.3916 0.0000 0.5722
6 Nb 0.6084 0.0000 0.4278
7 Nb 0.6084 0.5000 0.9278
8 Nb 0.3916 0.5000 0.0722
9 Zr 0.8470 0.0000 0.2794
10 Zr 0.1530 0.0000 0.7206
11 Zr 0.1530 0.5000 0.2206
12 Zr 0.8470 0.5000 0.7794

***

(x)
A relaxed structure of ZrNbB, computed with GGA-PBE.

symmetry: Cm, No. 8
size of the total moment: 0.000 μB per atom

a b c (Å): 6.8336 3.4456 9.3400
angles (deg): 90.00 123.95 90.00
Positions (direct):
1 B 0.5595 0.0000 0.3476
2 B 0.8251 0.0000 0.5637
3 B 0.8251 0.5000 0.0637
4 B 0.5595 0.5000 0.8476
5 Zr 0.1036 0.5000 0.7839
6 Zr 0.5476 0.0000 0.0573
7 Zr 0.5476 0.5000 0.5573
8 Zr 0.1036 0.0000 0.2839
9 Nb 0.2760 0.0000 0.6511
10 Nb 0.2760 0.5000 0.1511
11 Nb 0.8329 0.5000 0.3824
12 Nb 0.8329 0.0000 0.8824

***

(y)
A relaxed structure of ZrNbB, computed with GGA-PBE.

symmetry: C2/m, No. 12
size of the total moment: 0.000 μB per atom
'''
• To do:
Could you count the lines earlier on that contain the word "Hubbard" and give the number alone?
• Reply:
1